She confesses it as I'm tucking her into bed at the end of the day, when my patience is at its thinnest.
"My belly's telling me I'm not the fastest runner. Not at the park. Not at school. Not anywhere."
It amazes me how a three year old can experience anxiety in her solar plexus. Her gut is worried that she isn't good enough, that she's not measuring up. How early our insecurities set in.
"You DO have superpowers," I insist. "You can run like the wind. You can dance up a storm. You can sing in a big loud voice."
She's not buying it. She doesn't believe she can be Batgirl anymore. These traits aren't anything special to her. To me, though, they're everything. I don't care that I'm probably not supposed to tell her she's extra-special, or out of the ordinary. I've thrown that parenting rule right out the window, along with a bunch of others.
These calculated crystals were left in the entry by mistake >
/*
Entry 1:
Structure and computed powder diffraction line list of ReIrSe4 (the PBE geometry in Alexandria; Cu Kα (λ = 1.5418 Å)).
Neutral-atom scattering factors, no anomalous dispersion.

Atomic structure:
Cell lengths 13.0580, 3.6756, 5.8600 Å; angles 90.00, 101.35, 90.00 degrees
Space group Cm (No. 8)
Asymmetric unit:
Re 0.0000 0.0000 0.0000
Ir 0.4969 0.0000 0.5952
Se 0.0951 0.0000 0.4412
Se 0.1277 0.5000 0.9658
Se 0.3663 0.5000 0.6543
Se 0.4037 0.0000 0.1732

Peak list (10 most intense, 2θ = 10–90°, low angle first)
| two_theta | d [Å] | Rel. int. | (hkl) |
| --- | --- | --- | --- |
| 13.83 | 6.401 | 100 | 2 0 0 |
| 28.94 | 3.085 | 17 | 1 1 -1 |
| 31.13 | 2.873 | 12 | 0 0 2 |
| 33.92 | 2.643 | 55 | 3 1 -1 |
| 36.72 | 2.447 | 20 | 2 0 2 |
| 37.67 | 2.388 | 12 | 3 1 1 |
| 43.41 | 2.085 | 16 | 5 1 -1 |
| 48.48 | 1.878 | 18 | 5 1 1 |
| 49.60 | 1.838 | 11 | 0 2 0 |
| 53.15 | 1.723 | 10 | 1 1 -3 |

***

Entry 2:
Structure and computed powder diffraction line list of BiAs (the PBE geometry in Alexandria; Cu Kα (λ = 1.5418 Å)).
Neutral-atom scattering factors, no anomalous dispersion.

Atomic structure:
Cell lengths 6.0224, 6.0367, 12.1452 Å; angles 90.00, 90.00, 90.00 degrees
Space group P2_12_12_1 (No. 19)
Asymmetric unit:
Bi 0.2466 0.0036 0.0116
Bi 0.2496 0.4867 0.7393
As 0.2495 0.5008 0.4979
As 0.2504 0.0022 0.7525

Peak list (10 most intense, 2θ = 10–90°, low angle first)
| two_theta | d [Å] | Rel. int. | (hkl) |
| --- | --- | --- | --- |
| 25.53 | 3.489 | 56 | 1 1 2 |
| 29.42 | 3.036 | 48 | 0 0 4 |
| 29.63 | 3.015 | 100 | 2 0 0 |
| 42.24 | 2.139 | 73 | 2 0 4 |
| 42.40 | 2.132 | 38 | 2 2 0 |
| 50.15 | 1.819 | 19 | 3 1 2 |
| 52.45 | 1.745 | 39 | 2 2 4 |
| 69.30 | 1.356 | 14 | 2 0 8 |
| 69.70 | 1.349 | 17 | 2 4 0 |
| 77.51 | 1.232 | 13 | 4 2 4 |

***

Entry 3:
Structure and computed powder diffraction line list of Ac3Ce2PaP6 (the PBE geometry in Alexandria; Cu Kα (λ = 1.5418 Å)).
Neutral-atom scattering factors, no anomalous dispersion.

Atomic structure:
Cell lengths 7.3189, 12.6721, 7.3848 Å; angles 90.00, 109.27, 90.00 degrees
Space group C2/m (No. 12)
Asymmetric unit:
Ac 0.0000 0.0000 0.0000
Ac 0.0000 0.3313 0.0000
Ce 0.0000 0.1662 0.5000
Pa 0.0000 0.5000 0.5000
P 0.2357 0.3381 0.7219
P 0.2489 0.5000 0.2767

Peak list (10 most intense, 2θ = 10–90°, low angle first)
| two_theta | d [Å] | Rel. int. | (hkl) |
| --- | --- | --- | --- |
| 25.56 | 3.485 | 26 | 0 0 2 |
| 25.80 | 3.453 | 75 | 2 0 0 |
| 29.81 | 2.998 | 100 | 1 3 1 |
| 42.50 | 2.127 | 37 | 2 0 2 |
| 42.81 | 2.112 | 38 | 0 6 0 |
| 50.25 | 1.816 | 14 | 1 3 3 |
| 50.52 | 1.807 | 26 | 3 3 1 |
| 53.03 | 1.727 | 20 | 4 0 0 |
| 69.99 | 1.344 | 17 | 3 3 3 |
| 70.43 | 1.337 | 17 | 4 6 0 |

~~~~~

[1]
The following is a simulated XRD peak list of Na3Nd5Cl18. It was derived from a GGA-PBE-relaxed structure, using a wavelength of 1.5418 Å.
No peak broadening, texture or thermal motion is included.

Top 6 peaks for 5 to 70 degrees two-theta, most intense first:
34.4 deg, I 100
13.4 deg, I 91
*/
The calculated crystals stop here >
When your child is predisposed to doubt herself and struggles mightily with self-esteem, you find yourself saying anything to boost them up, to help them bloom.
When she says we have to buy more superpowers, I sigh.
What comes next are records of crystals, not part of the page.
┌──
Structure and simulated powder XRD pattern of RbMoP2O7 (a cell relaxed with GGA+U; Cu Kα (weighted mean of Kα1 and Kα2)).

Structure:
```
data_RbMoP2O7
_cell_length_a 7.6944
_cell_length_b 10.6219
_cell_length_c 8.5955
_cell_angle_alpha 90.00
_cell_angle_beta 106.18
_cell_angle_gamma 90.00
_symmetry_space_group_name_H-M 'P 1 21/c 1'
_symmetry_Int_Tables_number 14
_symmetry_space_group_name_Hall '-P 2ybc'
loop_
_atom_site_label
_atom_site_fract_x
_atom_site_fract_y
_atom_site_fract_z
Rb1 0.1859 0.1800 0.0595
Mo1 0.2365 0.6010 0.2576
P1 0.1275 0.6002 0.8246
P2 0.4347 0.6340 0.6909
O1 0.0014 0.0028 0.7792
O2 0.0765 0.7321 0.7510
O3 0.1371 0.5942 0.0018
O4 0.3236 0.6041 0.5188
O5 0.3277 0.5654 0.8081
O6 0.3757 0.0767 0.7609
O7 0.4503 0.7253 0.2354
```

The 12 most intense peaks (2θ from 10° to 80°), in order of rising 2θ:
hkl  2θ/deg  d/Å  intensity
1 1 0  14.6  6.066  22
1 1 -1  16.0  5.529  24
0 0 2  21.5  4.127  47
1 1 -2  23.1  3.847  33
2 0 0  24.1  3.695  25
1 2 1  24.8  3.590  30
0 3 1  27.4  3.257  47
1 3 0  27.9  3.193  63
1 1 2  28.8  3.098  97
2 2 -1  28.9  3.084  100
1 1 -3  32.5  2.754  24
4 2 -1  50.5  1.806  20

----------

Record 1
Diffraction record for Zr3S4. The X-ray diffraction stick pattern is calculated, not measured: it uses the PBE geometry in the Materials Project and Cu Kα, 1.54184 Å.
No peak broadening, texture or thermal motion is included.

Cell and atoms:
a = 7.317 Å, b = 7.352 Å, c = 24.325 Å
α = 98.38°, β = 90.23°, γ = 119.70°
Fractional positions:
Zr 0.000 0.000 0.000
Zr 0.000 0.000 0.500
Zr 0.000 0.500 0.000
Zr 0.000 0.500 0.500
Zr 0.091 0.231 0.374
Zr 0.117 0.257 0.873
Zr 0.118 0.726 0.877
Zr 0.213 0.985 0.248
Zr 0.239 0.010 0.745
Zr 0.243 0.470 0.751
Zr 0.347 0.738 0.123
Zr 0.374 0.234 0.627
Zr 0.381 0.744 0.622
Zr 0.500 0.500 0.000
Zr 0.500 0.500 0.500
Zr 0.619 0.256 0.378
Zr 0.626 0.766 0.373
Zr 0.653 0.262 0.877
Zr 0.757 0.530 0.249
Zr 0.761 0.990 0.255
Zr 0.787 0.015 0.752
Zr 0.882 0.274 0.123
Zr 0.883 0.743 0.127
Zr 0.909 0.769 0.626
S 0.052 0.137 0.681
S 0.056 0.128 0.185
S 0.071 0.617 0.192
S 0.075 0.626 0.688
S 0.180 0.368 0.565
S 0.192 0.883 0.061
S 0.195 0.368 0.064
S 0.213 0.882 0.557
S 0.304 0.618 0.435
S 0.307 0.122 0.437
S 0.318 0.120 0.937
S 0.323 0.630 0.938
S 0.425 0.376 0.311
S 0.432 0.883 0.312
S 0.440 0.875 0.811
S 0.446 0.373 0.814
S 0.554 0.627 0.186
S 0.560 0.125 0.189
S 0.568 0.117 0.688
S 0.575 0.624 0.689
S 0.677 0.370 0.062
S 0.682 0.880 0.063
S 0.693 0.878 0.563
S 0.696 0.382 0.565
S 0.787 0.118 0.443
S 0.805 0.632 0.936
S 0.808 0.117 0.939
S 0.820 0.632 0.435
S 0.925 0.374 0.312
S 0.929 0.383 0.808
S 0.944 0.872 0.815
S 0.948 0.863 0.319

Main lines, by intensity (2θ from 10° to 80°):
2θ/deg, d/Å, intensity
34.4, 2.609, 100
34.6, 2.595, 97
34.7, 2.584, 93
29.8, 2.998, 71
49.6, 1.838, 65
14.8, 6.002, 63
49.7, 1.834, 63
61.9, 1.498, 46
49.5, 1.842, 31
49.9, 1.829, 30

Record 2
└──
Self-confidence is not something I can purchase for her at the mall. I tell her it's already inside of her. She just needs to find a way to get it out.
But she's not having any of it.
So when she insists that her superpowers are stuck in the ceiling, I make a production out of pulling them down and magically putting them back in her belly. She giggles and I remind her not to let them wiggle out.
Oh, if only I could do this for her for all of her days. But I can't. She's becoming more self-aware, more inclined to judge herself in comparison to her classmates. The other day she said she didn't like her name; she wanted to be called Georgia instead, like the little girl at her school who's super-social.
"Do you know what Wonder Woman's real name is?" I asked her.
She shook her head, but I could sense she knew where this was heading.
"It's Eve. A beautiful name for a strong superhero."
Now when we see Wonder Woman promoted everywhere we go, she gives me a secret smile that says she remembers.
Her identity is safe with me.
The world, in its cruel-but-kind way, will make her forget that she has any superpowers soon enough. It will test her courage and strip her of her golden cape, forcing her to dig deep and find the strength to fly.
For now, I will do everything I can to instil faith and confidence in my girl. Every time she takes off her protective mask and talks openly to our friends and family, I see glimmers of the daring young woman she's bound to become.